### Data
[1]
A cluster of 6 separate species, C44H35F6NOS in total, computed with the ωB97M-V functional and the def2-TZVPD basis.

Its spin multiplicity is 1. The calculation puts the HOMO-LUMO gap at 8.671 eV. The value obtained for the LUMO energy is 0.56 eV. The HOMO energy comes out at -0.2981 Ha. For the molecular weight, the calculation gives 739.82 Da.

Each line ends with the Löwdin charge.
Atoms and positions in Å:
O  -5.1490  -4.3667  -0.5434  0.17
C  -4.5244  -4.2215  -1.5389  -0.45
F  -5.0804  -4.5003  -2.7467  0.08
C  -3.1089  -3.7260  -1.6495  -0.04
C  -2.2590  -4.2962  -0.5416  -0.17
C  -2.1414  -5.6734  -0.3764  -0.03
C  -1.3404  -6.2028  0.6240  -0.07
C  -0.6465  -5.3630  1.4860  -0.09
C  -0.7627  -3.9898  1.3216  -0.44
C  -1.5682  -3.4453  0.3171  -0.22
N  -1.6659  -2.0231  0.1804  0.06
C  -1.9700  -1.3835  1.4256  -0.26
C  -3.0164  -0.4754  1.5224  -0.01
C  -3.2778  0.1337  2.7427  -0.09
C  -2.5091  -0.1411  3.8678  -0.08
C  -1.4735  -1.0627  3.7816  -0.09
C  -1.2136  -1.6726  2.5610  -0.44
S  0.0870  -2.8679  2.3987  1.04
H  -2.6873  -3.9549  -2.6259  0.10
H  -3.1527  -2.6418  -1.5440  0.13
H  -2.6809  -6.3543  -1.0229  0.12
H  -1.2549  -7.2702  0.7705  0.11
H  -0.0378  -5.7636  2.2835  0.10
H  -0.7652  -1.6938  -0.1584  0.10
H  -3.6063  -0.2388  0.6484  0.11
H  -4.0978  0.8379  2.7997  0.10
H  -2.7397  0.3545  4.7999  0.10
H  -0.8808  -1.2925  4.6509  0.09
F  1.2881  -2.0242  -0.7965  0.04
C  2.0056  -0.9728  -1.2574  -0.27
C  1.4801  0.2953  -1.1172  -0.01
C  2.2167  1.3731  -1.5863  -0.07
C  3.4502  1.1663  -2.1889  -0.09
C  3.9546  -0.1206  -2.3170  -0.07
C  3.2316  -1.2062  -1.8439  -0.02
H  0.5133  0.4336  -0.6495  0.12
H  1.8252  2.3768  -1.4819  0.09
H  4.0181  2.0104  -2.5576  0.09
H  4.9148  -0.2834  -2.7875  0.11
H  3.6102  -2.2163  -1.9233  0.11
F  1.0021  4.8503  -2.1099  0.05
C  1.9096  5.1924  -3.0480  -0.29
C  3.2521  5.1372  -2.7316  -0.03
C  4.1836  5.4836  -3.6994  -0.08
C  3.7648  5.8844  -4.9606  -0.09
C  2.4092  5.9343  -5.2545  -0.08
C  1.4693  5.5835  -4.2961  -0.02
H  3.5597  4.8282  -1.7409  0.12
H  5.2388  5.4394  -3.4660  0.11
H  4.4932  6.1564  -5.7123  0.10
H  2.0785  6.2484  -6.2352  0.11
H  0.4089  5.6101  -4.5075  0.12
F  3.1843  -4.0478  -5.5116  0.06
C  1.9245  -4.3965  -5.1796  -0.28
C  1.4831  -4.1533  -3.8950  -0.01
C  0.1861  -4.5101  -3.5583  -0.07
C  -0.6418  -5.1067  -4.5000  -0.09
C  -0.1725  -5.3439  -5.7847  -0.08
C  1.1209  -4.9844  -6.1355  -0.02
H  2.1460  -3.6927  -3.1758  0.10
H  -0.1754  -4.3210  -2.5547  0.09
H  -1.6525  -5.3889  -4.2340  0.09
H  -0.8146  -5.8117  -6.5188  0.11
H  1.5059  -5.1538  -7.1319  0.12
F  1.2897  -0.8577  4.9215  0.03
C  1.9429  0.3068  5.1235  -0.28
C  2.0443  1.1942  4.0716  -0.01
C  2.7073  2.3943  4.2811  -0.08
C  3.2587  2.6832  5.5223  -0.10
C  3.1432  1.7704  6.5618  -0.09
C  2.4759  0.5691  6.3685  -0.02
H  1.6084  0.9443  3.1131  0.12
H  2.7914  3.1059  3.4708  0.10
H  3.7770  3.6196  5.6792  0.10
H  3.5741  1.9922  7.5289  0.10
H  2.3675  -0.1547  7.1649  0.12
F  -1.4553  2.9287  2.6217  0.05
C  -2.4740  3.7765  2.8617  -0.30
C  -3.1088  4.3768  1.7928  -0.02
C  -4.1574  5.2489  2.0471  -0.08
C  -4.5504  5.5119  3.3523  -0.10
C  -3.8940  4.8966  4.4095  -0.08
C  -2.8482  4.0172  4.1686  -0.02
H  -2.7825  4.1607  0.7844  0.12
H  -4.6691  5.7241  1.2209  0.10
H  -5.3669  6.1946  3.5447  0.10
H  -4.1958  5.1011  5.4279  0.10
H  -2.3263  3.5210  4.9760  0.12

Atomic forces in eV per Å
0.029 0.003 -0.439
-0.057 -0.064 0.411
0.060 0.089 0.055
-0.139 -0.186 0.076
0.006 0.136 0.007
0.197 -0.125 0.125
0.118 0.139 0.146
-0.135 0.176 -0.216
-0.028 0.146 0.108
0.116 -0.373 0.020
-0.034 -0.040 -0.191
-0.067 0.276 0.242
0.224 -0.099 0.247
-0.116 0.154 -0.090
-0.072 -0.119 -0.396
-0.286 0.230 -0.044
0.098 -0.187 -0.041
-0.019 -0.058 0.102
-0.094 -0.009 -0.094
0.058 0.063 -0.030
-0.063 0.064 -0.088
-0.082 -0.069 -0.135
0.031 -0.018 0.043
0.003 0.092 0.003
-0.023 -0.073 -0.060
0.009 0.055 0.087
0.064 -0.030 0.094
0.033 -0.122 0.015

### Activity
Your job: work out how many lines earlier on have the word "for" in them; a number is enough.

### Reply
1